Question about GRBL's Homing function and strange Z Axis stepper behavior

I’m working on my first MPCNC machine, and it’s coming along quite well. I’ll post some pictures in the next couple of days.

I have one new middle Z part left to print and should have that done tomorrow, then I’ll see how well the gantry goes together.

In the mean time I have X and Y motion working well, and have the Z Axis motor in its mount just sitting on the desk and have that working (sort of).

Running a UNO with a CNC shield.

I’ve added limit switches for X and Y and was playing with the Homing function ($H) in GRBL. For now I’m faking the Z Axis limit switch action manually.

When I issue the $H command the Z Axis starts spinning and when I pulse the Z Axis limit input on the CNC shield then X and Y move quickly to the limits and stay there until I pulse the Z Axis limit input again, then X and Y move to “center” and life appears to be good. Hard limits work fine too so things won’t crash and burn by trying to go past the physical limits.

Here’s the strangeness:

If I set the Homing seek ($20) in GRBL to 200 mm/min the X and Y axis appear to move just fine, but the Z stepper stutters, and doesn’t rotate smoothly.
If I drop the Homing seek to 120 mm/min then the Z stepper appears to rotate smoothly. GRBL uses the specified Homing seek rate for all 3 axis.

I haven’t tried swapping out the Z Axis stepper to see if there is something wrong with it. It appears to be wired correctly and is running smoothly at the slower rate.

What comes next are crystal structures, not part of the page =
- - -
# RbErMnF6 PBE with a Hubbard U optimized geometry
data_RbErMnF6
_cell_length_a 5.8833
_cell_length_b 5.8833
_cell_length_c 11.7674
_cell_angle_alpha 90.00
_cell_angle_beta 90.00
_cell_angle_gamma 120.00
_symmetry_space_group_name_H-M 'P -3 1 c'
_symmetry_Int_Tables_number 163
_symmetry_space_group_name_Hall '-P 3 2c'
loop_
_atom_site_label
_atom_site_type_symbol
_atom_site_fract_x
_atom_site_fract_y
_atom_site_fract_z
Rb1 Rb 0.0000 0.0000 0.0000
Er1 Er 0.3333 0.6667 0.2500
Mn1 Mn 0.3333 0.6667 0.7500
F1 F 0.0017 0.3845 0.6517
# - total moment (μB/atom) = 0.56
# - DFT total energy (eV per atom) = -6.05

=====

This record from the Alexandria database describes a geometry-optimized DyGeRh structure. The functional is PBE-GGA.

Output
For the magnetization, the calculation gives 0.00 μB per formula unit. The calculation puts the formation energy at -2.656 eV/f.u.

Lattice parameters (Å, degrees): 3.646 4.325 4.325 120.00 90.00 90.00
Sites, in units of the cell vectors:
Ge: 0.167 0.333 0.667
Rh: 0.167 0.000 0.000
Dy: 0.667 0.667 0.333


This record from the Alexandria database describes a geometry-optimized PuUOs structure. The functional is PBE-GGA.

Output
Its distance to the lowest polymorph of the same formula is 0.2116 eV/atom. For the magnetization, the calculation gives 6.84 μB per formula unit. The calculation puts the formation energy at 0.365 eV/f.u.

Lattice parameters (Å, degrees): 4.191 4.191 4.191 73.59 73.59 73.59
Site moments in Bohr magnetons follow the coordinates.
Sites, in units of the cell vectors:
Pu: 0.615 0.615 0.615  5.00
U: 0.213 0.213 0.213  1.85
Os: 0.917 0.917 0.917  -0.31


This record from the Alexandria database describes a geometry-optimized HoThCo structure. The functional is PBE-GGA.

Output
Its distance to the lowest polymorph of the same formula is 0.1593 eV/atom. For the magnetization, the calculation gives 0.00 μB per formula unit. The calculation puts the formation energy at -0.072 eV/f.u.

Lattice parameters (Å, degrees): 4.760 4.760 4.760 60.00 60.00 60.00
Sites, in units of the cell vectors:
Co: 0.250 0.250 0.250
Ho: 0.000 0.000 0.000
Th: 0.500 0.500 0.500


This record from the Alexandria database describes a geometry-optimized CaPuTe structure. The functional is PBE-GGA.

Output
The calculation puts the uncorrected formation energy at -0.445 eV per atom. For the magnetization, the calculation gives 0.00 μB per formula unit.

Lattice parameters (Å, degrees): 3.903 3.903 12.918 81.31 81.31 60.00
Sites, in units of the cell vectors:
Te: 0.264 0.264 0.207
Te: 0.736 0.736 0.793
Pu: 0.346 0.346 0.963
Pu: 0.654 0.654 0.037
Ca: 0.875 0.875 0.375
Ca: 0.125 0.125 0.625


This record from the Alexandria database describes a geometry-optimized LiTl2In structure. The functional is PBE-GGA.

Output
For the magnetization, the calculation gives 0.00 μB per formula unit. The calculation puts the formation energy at -0.289 eV/f.u.

Lattice parameters (Å, degrees): 5.966 5.966 5.966 141.51 127.11 67.29
- - -

I haven’t swapped the driver module, but I’ve tried different current settings low and high with no difference. I’ll try swapping the driver out first since that easier. If that doesn’t change things then I’ll swap the stepper out, but that will be more of a pain since don’t have a spare.

Note no micro-stepping involved at this point, and I need to fine tune things for the number of teeth on the pulleys, etc. This is just an early test to get everything working.

Has anyone seen something similar?

Is anyone using the Homing function with their MPCNC? If so where did you put the limit switch(es) for the Z Axis?

Thanks in advance,

I’m not sure about the uno but we hit the processing wall on the z-axis on the mega.
Check your step rate, step/mm, and how fast the uno processor is.

On the mega with 32nd stepping and 5/16" we max out the processor at about 16.8mm/s for the z axis and 197mm/s for the x and Y. Huge difference. If you can step down to 16th stepping and you can go faster.

Would one of the 32 bit boards that are available work as seamless replacement for RAMPS and Mega combo that most of us are using? This would allow us to use that 32nd stepping with no concern about processor speed.

Well, Burt says he isn’t using microstepping, so he’s probably way under the limit, but that depends on Burt being in the right ballpark for steps/mm. What steps/mm are you using Burt? Are you starting with the 4500ish number from the stock machine?

I haven’t used grbl, but this page (for 0.9, not sure what version you have) Shows that $20 is a boolean, and there are other limits (separated by axis, $110, $111, $112) for speed. Can you try with just adjusting the speed, and then driving it to a position manually to make your test easier?

Jason, Are you talking about the ramps FD with an arduino due? . You could definitely get that to work, but I don’t know if the screen works, and the marlin firmware doesn’t seem to support it natively, AFAIK (there is a marlin FD fork on github). I’ve used repetier firmware on my mega, and it seems to act very similar, so you could switch to that.

The easier thing to do is just remove the jumper on the Z axis, to go to 16 steps and reduce the steps/mm by 2 on just the Z axis. With 2k steps/mm instead of 4k steps/mm, I doubt there will be a noticeable difference on the Z.

Thanks All,

Yes, right now not doing any micro stepping. I was starting with some fairly slow values.

Initially I’m starting with defaykt feed if 250 mm/min and default seek of 200 mm/min

Acceleration at 10 mm/sec^2 Homing feed ($20) which is what is being used to set the common feed rate for homing on v 0.8. v0.9 has split those out but I’m currently not running v 0.9 GRBL. The step pulse width is set at 10 usec

So I have homing feed set to 250 mm/min which is used for the 3 axis. X and Y appear to be just fine but Z is just sputtering around at that rate. If I drop the common homing feed rate to 120 mm/min then Z runs smoothly. Again in this case I’m not driving the z Axis assy, just the Z motor in the mount with the coupler pressed against the bearing as recommended in the assy instructions. But just in case I even pulled the coupler up a bit to make sure that nothing was binding. After that test I pushed the bushing back down tight on the bearing as there was no change.

I do have a Mega and there is a RAMPS board on the way so I may need to test with that.

I was just surprised that the Z Axis was behaving the way it does when X and Y (with the two steppers in parallel) appears to move just fine.

I have to compute the finally steps/mm and other bits since I’m just using something that is fairly close (as measured with X and Y axis movement.

The steppers are ones that I had gotten a couple of years ago when I first was considering building a CNC machine but had too many other projects going on to get to it until now.

They are Minebea 17PM-K402-P4V
Basic specs are:
Rated voltage 6.00 Rated current per phase .80 Winding resistance 7.5 ohms per phase Holding torque 3400 g-cm Rotor INertia 75 g-cm^2 Detent Torque 200 g-cm

If I need to I’ll change out the steppers, but it seems like these should work OK.

Currently running with a 12V power supply. Maybe I need to increase to 24V?

I don’t think that it is a bad stepper since I had tested with the steppers and a simple program on the UNO a while ago and they all appeared to perform the same. So baring a failure while the motor was sitting around I expect the issue is elsewhere. I may pull the Z axis driver and install it on a 2nd CNC shield / UNO that I have sitting around and test the stepper there, unless someone sees something that leaps out in the basic GRBL settings.


Ryan’s idea was that it was not able to step fast enough, which depends on the number of steps/sec. Which is the steps/mm * mm/sec, so you’ve only looking at half the equation. In the final machine, with 32nd stepping, the number will be near 4500, which is a lot different than the 200 for x, y. What do you have them set at?

Also, what is attached to the Z? Just the coupler, to the threaded rod, through the bearing? Do you also have the nuts on at the end?

Wasn’t referring to any specific board or combo… Currently the default config is a Ramps 1.4 + arduino. I was wondering if there is a 32 bit board available that would basically a swap in seamless transition.

I plan on moving to 16th stepping for a few reasons so this shouldn’t matter too much. 32 bit might help withe the laser stuff a bit but for everything else no worth whatever extra it will cost.

OK, I figured it out. One of those Duh! moments. I hadn’t looked at the docs for the micro stepping in a LONG time so I made the assumption that no jumpers was Full step. Of course it was Sixteenth Step.

What I’ve found so far is that I do Quarter step and run everything at 500 mm/minute.

I couldn’t do any better than about 120 - 170 mm / minute on Z with Sixteenth micro step on the UNO.

So I’ll do some more testing but I may have to wait for my RAMPS board and integrate that with my Mega to nudge the processing speed up a notch, but for now it’s working better for testing and I’ll dial in the configuration a bit more while waiting for the last Better Middle-Z part to finish printing.

Sorry for the oops on the micro-stepping, I guess what really amazed me was that the X and Y appeared to be working OK (but maybe they were missing some steps that weren’t obvious.

In any case I’ve cranked the seek speeds up to 500 mm/min which seems to be a pretty safe value for right now.


Must actually be having a Senior Moment. I re-read the jumper mapping one more time and I was correct originally. If no jumpers are installed then the stepper should be doing full steps.

So it is still a bit strange. With the drivers configured for micro stepping I was able to get the Z Axis working at a higher seek rate but something is still a bit funky, so I’ll have to do some more digging and wait for the RAMPS board to get here.


Now that I, finally, have the correctly jumpers set for 8 micro steps things are much better. I still can’t get the Z Axis to run as fast as the X and Y but it is tolerable for now.

Looks like the UNO just runs out of steam when trying to keep up with the Z Axis at the same seek rate as the X and Y axis, which makes sense since it takes many more steps to move Z one millimeter.

The good thing is that I have X and Y (and most likely Z) pretty well dialed in. When I move 10 mm it is about as close as I can measure it to 10mm. And I expect that the Z should be correct too, but won’t really know until I can work on getting the middle completed and the Z Axis fully installed and mounted.

Then I’ll see how it goes when I get the RAMPS board try that with my Mega that is sitting idle right now.

Now off to neaten things up to get a few pictures in the works.

If you aren’t changing the grbl firmware, or setting the steps/mm with gcode commands, then it is making sense.

The arduino doesn’t know anything about the stepper driver configuration, so when you remove all the jumpers, it sends out one pulse, which rotates the stepper 1.8deg. So when you have no jumpers and you ask for a 1mm movement, it steps 4500 times (if this is what your steps/mm is set to in grbl), which is 2500 degrees. Way too much, and if it’s doing that very fast, then you will have problems of the physical hardware not being able to keep up. If you add some jumpers, then it takes 16 steps to move 1.8degrees, so it will only move 156 degrees in the same amount of time, which is at least physicall possible.

Whenever you change the jumpers, you also have to change the steps/mm in grbl, either by configuring and reflashing the arduino, or by using the gcode/$ commands to set them.

Yes, I finally got things sorted pretty much with getting the proper steps / mm adjusted for the number of micro steps. And I didn’t realize initially that it would take a LOT more steps to get Z to move the required distance, so when the movement rate was set high then Z became the limiting factor.

For one of the other responses I just had the Z motor mounted with the coupler pressed against the bearing in the Z motor mount. No rod, nuts or anything else.

I was changing the GRBL configuration settings using the $N commands.

I upgraded to GRBL 0,9 and it is MUCH better. Much smoother and I was able to bump the speeds up approaching numbers that others were discussing.

Reproducibility of positioning looks to be quite good.

I’ll still be interested to see how the Mega / RAMPs configuration compares, but certainly for right now it’s looking pretty good. I can get Homing working after a fashion since don’t have a real Z stop yet, but sometime I miss manually triggering the Z stop during the Homing cycle.

BTW, v0.9 swapped the spindle control and the Z stop pins. I took the easy way out and just moved my Z-stop cable to the (previous) spindle control pin on the CNC shield and that appears to be working fine.

I have my middle piece ready to install so probably tomorrow I’ll have that in place as well as the Z axis installed, then the fun will begin for sure.

Thanks all,